### Given
18
Properties=species:S:1:pos:R:3:forces:R:3 method="wB97M-V/def2-TZVPD" spin_multiplicity=1 charge=+1 e_homo_ev=-14.355 e_above_lowest_kj_mol=106.9 e_tot_ev=-7873.183 lumo_energy_ev=-3.35
C -2.382 -0.003 -0.233 -0.7 0.0 -1.1
C -1.004 0.263 0.326 1.0 1.0 0.2
C 0.056 -0.786 0.119 -1.0 -1.9 -0.7
C -0.136 -1.896 -0.597 0.7 1.6 0.5
N 1.405 -0.573 0.698 -0.8 1.3 0.6
H -2.695 -1.046 -0.224 0.0 0.0 0.4
H -2.514 0.329 -1.273 0.5 -0.2 0.1
H -3.134 0.609 0.257 0.1 -0.2 0.5
H -1.107 0.511 1.388 0.2 -0.2 0.0
H -0.620 1.178 -0.147 -0.1 0.1 0.2
H -1.028 -1.857 -1.202 -0.1 -0.9 0.0
H 0.663 -2.621 -0.667 -0.3 -0.3 -0.4
H 1.392 -0.379 1.703 -0.2 -0.2 0.1
H 2.087 -1.303 0.527 -0.1 -0.3 -0.3
H 1.714 0.318 0.282 0.7 0.3 -0.2
H 2.931 2.351 -0.896 -0.4 -0.6 -0.2
H 2.200 2.823 0.286 -0.5 -0.4 0.0
O 2.171 2.082 -0.347 0.8 0.8 0.3

***

78
Properties=species:S:1:pos:R:3:forces:R:3 method="wB97M-V/def2-TZVPD" smiles=COCCCCc1ccc2nc(C)cnc2c1CCCBr.COC[C@@H](C)N.COC[C@@H](C)N spin_multiplicity=1 charge=0 e_homo_ev=-8.743 e_tot_ev=-108799.509 lumo_energy_ev=0.08
C 3.266 -2.359 1.791 0.2 0.1 -0.2
O 4.286 -1.440 1.453 0.0 0.0 0.2
C 4.234 -0.976 0.121 -0.1 0.0 0.0
C 4.753 0.455 0.083 0.1 0.0 0.1
C 5.432 0.863 -1.221 -0.1 0.0 0.0
C 4.512 1.424 -2.317 0.1 0.0 -0.1
C 3.222 0.668 -2.502 -0.2 0.1 0.1
C 3.332 -0.594 -3.136 -0.1 -0.2 0.0
C 2.254 -1.392 -3.376 0.1 0.1 0.0
C 0.975 -0.931 -3.021 -0.4 0.3 0.2
N -0.115 -1.704 -3.299 0.0 -0.2 -0.1
C -1.295 -1.236 -3.002 0.3 0.3 0.1
C -2.513 -2.050 -3.295 0.0 -0.1 0.0
C -1.427 0.059 -2.414 0.0 -0.1 -0.1
N -0.411 0.819 -2.133 0.1 0.0 0.1
C 0.837 0.341 -2.413 -0.1 -0.4 -0.2
C 1.977 1.138 -2.119 0.1 0.1 0.0
C 1.782 2.495 -1.471 0.0 0.0 -0.1
C 0.939 2.571 -0.185 -0.1 0.0 0.0
C 1.105 1.355 0.705 -0.3 -0.2 0.1
Br 1.207 1.790 2.601 0.0 0.2 0.1
H 3.240 -3.202 1.095 0.0 -0.1 -0.1
H 2.287 -1.876 1.793 -0.1 0.0 0.0
H 3.484 -2.731 2.785 -0.1 0.0 0.1
H 4.855 -1.610 -0.524 0.1 -0.1 0.0
H 3.215 -1.057 -0.260 -0.2 0.1 -0.1
H 5.480 0.511 0.893 0.1 0.1 0.1
H 3.963 1.168 0.329 0.0 0.0 0.1
H 6.190 1.613 -1.004 0.1 0.1 0.0
H 5.963 -0.004 -1.617 0.1 -0.1 0.0
H 5.051 1.352 -3.262 0.1 0.1 -0.1
H 4.332 2.486 -2.168 0.0 0.0 0.1
H 4.313 -0.937 -3.434 0.1 0.0 0.0
H 2.345 -2.356 -3.855 0.0 -0.1 0.0
H -2.221 -3.024 -3.673 0.0 -0.1 0.0
H -3.134 -1.553 -4.038 -0.1 0.0 -0.1
H -3.119 -2.176 -2.400 -0.1 0.0 0.1
H -2.417 0.429 -2.182 -0.2 0.1 0.0
H 1.319 3.161 -2.201 0.0 0.1 -0.1
H 2.761 2.913 -1.257 0.0 0.0 0.1
H -0.111 2.671 -0.436 -0.1 0.0 0.0
H 1.218 3.469 0.361 0.1 0.1 0.0
H 0.257 0.684 0.637 0.0 -0.1 -0.1
H 2.001 0.800 0.485 0.2 -0.1 0.0
C 1.489 -3.806 5.261 0.0 0.0 0.0
O 1.318 -2.649 4.468 0.0 -0.1 0.0
C 0.321 -1.746 4.909 -0.1 0.1 0.0
C 0.770 -0.772 6.005 0.1 0.0 0.1
C 0.888 -1.399 7.390 0.0 0.0 0.0
N 2.023 -0.094 5.670 -0.1 -0.1 -0.1
H 0.534 -4.151 5.668 0.0 0.0 0.0
H 2.187 -3.643 6.087 0.0 0.0 0.0
H 1.896 -4.584 4.616 0.0 0.0 0.0
H 0.054 -1.161 4.026 0.0 0.0 0.0
H -0.573 -2.303 5.225 0.0 0.0 0.0
H -0.008 -0.004 6.055 0.0 0.0 0.0
H 1.799 -1.990 7.483 0.0 0.0 0.0
H 0.933 -0.618 8.148 0.0 0.0 0.0
H 0.035 -2.044 7.612 0.0 0.0 0.0
H 1.891 0.414 4.801 0.1 0.0 0.0
H 2.711 -0.809 5.448 0.1 0.0 0.0
C -7.195 3.607 -2.956 0.0 0.0 0.1
O -7.093 2.794 -1.803 0.1 0.1 0.0
C -7.260 1.408 -2.011 -0.1 -0.1 0.1
C -5.995 0.673 -2.465 0.1 0.0 -0.1
C -5.626 0.913 -3.925 0.0 0.0 0.0
N -4.834 0.980 -1.623 -0.1 0.0 0.1
H -7.940 3.211 -3.653 0.0 0.0 0.0
H -6.240 3.706 -3.478 0.0 0.0 0.0
H -7.512 4.595 -2.628 0.0 0.0 0.0
H -7.560 1.004 -1.041 0.0 0.0 0.0
H -8.085 1.228 -2.713 0.0 0.0 0.0
H -6.205 -0.395 -2.349 0.0 0.0 0.0
H -5.166 1.891 -4.065 0.0 0.0 0.0
H -4.904 0.167 -4.257 0.0 0.0 0.0
H -6.502 0.849 -4.573 0.0 0.0 0.0
H -5.030 0.707 -0.664 0.0 -0.1 0.0
H -4.739 1.992 -1.586 0.1 0.0 0.0

***

62
Properties=species:S:1:pos:R:3:forces:R:3 method="wB97M-V/def2-TZVPD" spin_multiplicity=1 charge=0 e_homo_ev=-8.974 e_above_lowest_kj_mol=433.6 e_tot_ev=-45826.683 lumo_energy_ev=0.16
C -1.164 1.166 -3.580 -2.2 0.4 -2.2
N -0.600 1.164 -2.243 1.2 -2.4 -0.3
### Job
Restate only the lines earlier on with the word "forces" in them, please.
### Done
Properties=species:S:1:pos:R:3:forces:R:3 method="wB97M-V/def2-TZVPD" spin_multiplicity=1 charge=+1 e_homo_ev=-14.355 e_above_lowest_kj_mol=106.9 e_tot_ev=-7873.183 lumo_energy_ev=-3.35
Properties=species:S:1:pos:R:3:forces:R:3 method="wB97M-V/def2-TZVPD" smiles=COCCCCc1ccc2nc(C)cnc2c1CCCBr.COC[C@@H](C)N.COC[C@@H](C)N spin_multiplicity=1 charge=0 e_homo_ev=-8.743 e_tot_ev=-108799.509 lumo_energy_ev=0.08
Properties=species:S:1:pos:R:3:forces:R:3 method="wB97M-V/def2-TZVPD" spin_multiplicity=1 charge=0 e_homo_ev=-8.974 e_above_lowest_kj_mol=433.6 e_tot_ev=-45826.683 lumo_energy_ev=0.16